Terahertzs science and technology is one of the most intriguing and challenging research fields to emerge in the 21st Century. In less than a decade, this previously hidden section of the electromagnetic spectrum has caught the imagination of scientists around the world. THz research will transform future computing and communication systems while providing unprecedented opportunities for biomedical imaging. Rensselaer researchers have played a leading role in the quest to understand the science and the use of THz radiation. In this IGERT program, physicists, computer scientists, biologists, electrical and biomedical engineers will focus on research in THz electronics, THz data transfer and networking systems, and THz spectroscopy and imaging.
(Records of crystals from another source follow)
/*
[1]
SrCdRe2O | Alexandria via LeMat-Bulk | GGA-PBE | relaxed; total DFT energy (no corrections) = -4.23 eV per atom; Fermi-level density of states = 0.529 states/eV per atom
1.0
5.026 0.000 0.000
0.000 5.026 0.000
0.000 0.000 6.289
Sr Cd Re O
1 1 2 1
Direct
0.000 0.000 0.000
0.000 0.000 0.500
0.000 0.500 0.500
0.500 0.000 0.500
0.500 0.500 0.000


[2]
CdHgAu2 | Alexandria via LeMat-Bulk | GGA-PBE | relaxed; total DFT energy (no corrections) = -1.98 eV per atom; Fermi-level density of states = 0.163 states/eV per atom; E_form = -0.039 eV/atom
1.0
-2.084 2.122 4.459
2.084 -2.122 4.459
2.084 2.122 -4.459
Cd Hg Au
1 1 2
Direct
0.000 0.000 0.000
0.251 0.751 0.500
0.501 0.501 0.000
0.750 0.250 0.500


[3]
La3Pm3Th2 | Alexandria via LeMat-Bulk | GGA-PBE | relaxed; total DFT energy (no corrections) = -5.45 eV per atom; Fermi-level density of states = 1.653 states/eV per atom; E_form = 0.037 eV/atom
1.0
5.108 0.000 0.000
-0.003 5.133 0.000
-2.549 -2.560 10.589
La Pm Th
3 3 2
Direct
0.000 0.000 0.000
0.132 0.631 0.263
0.868 0.369 0.737
0.369 0.869 0.738
0.500 0.500 0.000
0.631 0.131 0.262
0.250 0.250 0.500
0.750 0.750 0.500


[4]
SrLi3Bi | Alexandria via LeMat-Bulk | GGA-PBE | relaxed; polymorph energy (0 for the lowest one) = 1.050 eV/atom; total DFT energy (no corrections) = -1.57 eV per atom; Fermi-level density of states = 0.417 states/eV per atom; E_form = 0.691 eV/atom
1.0
5.451 0.000 0.000
0.000 5.451 0.000
0.000 0.000 5.451
Sr Li Bi
1 3 1
Direct
0.000 0.000 0.000
0.000 0.000 0.500
0.000 0.500 0.000
0.500 0.000 0.000
0.500 0.500 0.500


[5]
Ac5PbAu2 | Alexandria via LeMat-Bulk | GGA-PBE | relaxed; total DFT energy (no corrections) = -4.40 eV per atom; Fermi-level density of states = 1.223 states/eV per atom; E_form = -0.554 eV/atom
1.0
-4.427 4.427 7.259
4.427 -4.427 7.259
4.427 4.427 -7.259
Ac Pb Au
10 2 4
Direct
0.000 0.000 0.000
0.014 0.514 0.812
0.203 0.014 0.500
0.297 0.797 0.812
0.486 0.297 0.500
0.500 0.500 0.000
0.514 0.703 0.500
0.703 0.203 0.188
0.797 0.986 0.500
0.986 0.486 0.188
0.250 0.250 0.000
0.750 0.750 0.000
0.137 0.363 0.500
0.363 0.863 0.225
0.637 0.137 0.775
0.863 0.637 0.500


[6]
Sm6Cd6In | Alexandria via LeMat-Bulk | GGA-PBE | relaxed; total DFT energy (no corrections) = -2.98 eV per atom; Fermi-level density of states = 1.088 states/eV per atom; E_form = -0.173 eV/atom
1.0
6.140 0.000 0.000
-3.070 5.318 0.000
0.000 0.000 11.270
Sm Cd In
6 6 1
Direct
0.000 0.000 0.160
0.000 0.000 0.840
0.333 0.667 0.000
0.333 0.667 0.500
0.667 0.333 0.000
0.667 0.333 0.500
0.000 0.500 0.255
0.000 0.500 0.745
0.500 0.000 0.255
0.500 0.000 0.745
0.500 0.500 0.255
0.500 0.500 0.745
0.000 0.000 0.500


[7]
CsAlIn3 | Alexandria via LeMat-Bulk | GGA-PBE | relaxed; polymorph energy (0 for the lowest one) = 0.000 eV/atom; total DFT energy (no corrections) = -2.39 eV per atom; Fermi-level density of states = 0.743 states/eV per atom; E_form = 0.172 eV/atom
1.0
5.644 0.000 0.000
0.000 5.644 0.000
0.000 0.000 5.644
Cs Al In
1 1 3
Direct
*/
In addition to the strong commitment to research, there is an equal dedication to education. Rensselaer has won numerous awards for its revolutionary studio-based approach to undergraduate education. The Institute is now adapting and extending the pedagogical principles successfully implemented under this program to doctoral education for students working at the leading edge of science and technology. The IGERT program will integrate THz materials, devices, radiation, photonics, imaging, spectroscopy, and computer algorithms for tomography into THz courses that will be taught in an interactive studio setting by interdisciplinary faculty from Rensselaer and by national and international collaborators. We will provide industrial and international internships opportunities for students. This will create an environment, in which students learn from student-to-student interactions, on-campus researchers, and our industrial and international partners, while forming a global network of collaborators and contacts. Special programs in leadership, ethics, life skills, and global citizenship will provide students with frequent opportunities to present and defend their research. Outreach programs will focus on undergraduates and K-12 students.
The intellectual merit of this program is to produce top quality and diversified Ph.D. graduates in THz science and technology to serve the research and leadership needs of the most advanced industries, government laboratories, and academic institutions. Potential broader impacts range from computers that send messages orders of magnitude faster, to improved detection of breast and skin cancer, to security searches for weapons and toxins. We will proactively disseminate this studio model to other research universities that seek to create interdisciplinary graduate programs in emerging areas of science and technology.
### Next to the page, the page also holds data records
=====
(1)
A relaxed structure of In5Ni. Source: Alexandria via LeMat-Bulk, functional PBE-GGA.

Computed properties:
energy of formation from the pure elements	0.017	eV per atom

Unit cell a=3.179 b=3.179 c=13.910 alpha=90.00 beta=90.00 gamma=90.00
Fractional positions:
In 0.000 0.000 0.116
In 0.000 0.000 0.884
In 0.000 0.000 0.500
In 0.500 0.500 0.694
In 0.500 0.500 0.306
Ni 0.500 0.500 0.000


(2)
A relaxed structure of InNi4. Source: Alexandria via LeMat-Bulk, functional PBE-GGA.

Computed properties:
energy of formation from the pure elements	0.038	eV per atom

Unit cell a=3.020 b=3.020 c=7.322 alpha=78.08 beta=78.08 gamma=89.90
Site moments in Bohr magnetons follow the coordinates.
Fractional positions:
In 0.000 0.000 0.000  -0.01
Ni 0.207 0.207 0.586  0.57
Ni 0.793 0.793 0.414  0.57
Ni 0.384 0.384 0.232  0.16
Ni 0.616 0.616 0.768  0.16


(3)
A relaxed structure of In9Ni13. Source: Alexandria via LeMat-Bulk, functional PBE-GGA.

Computed properties:
energy of formation from the pure elements	-0.114	eV per atom

Unit cell a=6.752 b=6.752 c=8.552 alpha=72.00 beta=71.99 gamma=102.58
Fractional positions:
Ni 0.000 0.500 0.000
Ni 0.546 0.277 0.176
In 0.825 0.059 0.117
Ni 0.500 0.000 0.000
Ni 0.739 0.740 0.520
Ni 0.063 0.795 0.659
Ni 0.736 0.736 0.000
Ni 0.000 0.500 0.500
Ni 0.264 0.264 0.000
Ni 0.454 0.723 0.824
Ni 0.546 0.278 0.659
Ni 0.454 0.722 0.341
In 0.830 0.059 0.691
In 0.170 0.941 0.309
In 0.710 0.456 0.834
In 0.750 0.521 0.309
In 0.175 0.941 0.883
In 0.290 0.544 0.166
Ni 0.261 0.260 0.480
Ni 0.937 0.205 0.341
In 0.500 0.000 0.500
In 0.250 0.479 0.691


(4)
A relaxed structure of In4Ni. Source: Alexandria via LeMat-Bulk, functional PBE-GGA.

Computed properties:
energy of formation from the pure elements	0.006	eV per atom
relative energy among the computed polymorphs	1	meV/atom

Unit cell a=5.380 b=5.380 c=5.380 alpha=109.47 beta=109.47 gamma=109.47
Fractional positions:
In 0.500 0.500 0.500
In 0.500 0.000 0.000
In 0.000 0.000 0.500
In 0.000 0.500 0.000
Ni 0.000 0.000 0.000


(5)
A relaxed structure of InNi2. Source: Alexandria via LeMat-Bulk, functional PBE-GGA.

Computed properties:
energy of formation from the pure elements	-0.036	eV per atom

Unit cell a=6.150 b=6.150 c=3.977 alpha=90.00 beta=90.00 gamma=146.03
Fractional positions:
Ni 0.590 0.410 0.750
Ni 0.410 0.590 0.250
In 0.095 0.905 0.250
In 0.905 0.095 0.750
Ni 0.753 0.247 0.250
Ni 0.247 0.753 0.750


(6)
A relaxed structure of In2Ni. Source: Alexandria via LeMat-Bulk, functional PBE-GGA.

Computed properties:
energy of formation from the pure elements	-0.073	eV per atom

Unit cell a=4.474 b=4.474 c=3.033 alpha=90.00 beta=90.00 gamma=90.00
Fractional positions:
In 0.500 0.000 0.500
Ni 0.000 0.000 0.000
In 0.000 0.500 0.500


We obtain D(E_F) values of 3.7 5.1 12.0 3.3 2.8 1.2 states/eV/f.u. for the records listed above, in that order.
We obtain total magnetic moment values of 0.00 1.39 0.00 0.00 0.00 0.00 μB per formula unit for the records listed above, in that order.
=====
IGERT is an NSF-wide program intended to meet the challenges of educating U.S. Ph.D. scientists and engineers with the interdisciplinary background, deep knowledge in a chosen discipline, and the technical, professional, and personal skills needed for the career demands of the future. The program is intended to catalyze a cultural change in graduate education by establishing innovative new models for graduate education and training in a fertile environment for collaborative research that transcends traditional disciplinary boundaries. In this sixth year of the program, awards are being made to institutions for programs that collectively span the areas of science and engineering supported by NSF.